Following the publication of the new updated version of the HTM04-01 earlier this year, it is now necessary to ensure safety of all water used by patients, residents, staff and visitors. This minimises the risk of infection associated with all waterborne pathogens. This applies to other waterborne pathogens, not just Legionella. Therefore, safety procedures also apply to Pseudomonas aeruginosa, Stenotrophomonas maltophilia and Mycobacteria.
What Is Stenotrophomonas Maltophilia?
S. maltophilia is an emerging multi-drug-resistant global opportunistic pathogen. The increasing incidence of nosocomial and community-acquired S. maltophilia infections is of particular concern for immuno-compromised individuals, as this pathogen is associated with a significant fatality/case ratio (Brooke, 2012).
S. maltophilia (formerly Pseudomonas maltophilia and Xanthomonas maltophilia) lives mainly in soil and water but also animals and foods. It is more common in soil, specifically in plant rhizosphere. This is due to the high content of sulphurated amino acids in root exudates, which happen to be growth factors for S. Maltophilia (Bollet et a.l 1994). We associate S. maltophilia with wet surfaces and aqueous solutions. Cells of S. maltophilia have the ability to survive with minimal nutrients, e.g., in drinking water, ultrapure water, treated water (after water treatment of filtration, reverse osmosis, UV exposure, or deionization) and dialysate effluent.
Stenotrophomonas Maltophilia Sampling Methods
Data records that have nothing to do with the entry:
........
1.
Structure and computed X-ray powder pattern of TiBRh6 (a DFT-relaxed cell (PBE, Alexandria); Cu Kα, 1.54184 Å).
Intensities are scaled so that the largest is 100.

Most intense lines, 10° ≤ 2θ ≤ 80°, low angle first:
2theta	I (rel.)
30.0	30
37.9	25
38.3	100
39.9	45
45.0	67
47.5	27

Structural model:
Unit cell a=4.967 b=4.967 c=4.967 alpha=100.91 beta=100.91 gamma=100.91
Fractional positions:
Ti (0.000, 0.000, 0.000)
B (0.500, 0.500, 0.500)
Rh (0.209, 0.209, 0.608)
Rh (0.209, 0.608, 0.209)
Rh (0.392, 0.791, 0.791)
Rh (0.608, 0.209, 0.209)
Rh (0.791, 0.392, 0.791)
Rh (0.791, 0.791, 0.392)

---

2.
Structure and computed X-ray powder pattern of Ti2ZnB2Rh5 (a DFT-relaxed cell (PBE, Alexandria); Cu Kα, 1.54184 Å).
Intensities are scaled so that the largest is 100.

Most intense lines, 10° ≤ 2θ ≤ 80°, low angle first:
2theta	I (rel.)
29.6	39
36.9	46
40.4	68
43.2	100
44.0	45
46.6	42

Structural model:
Unit cell a=9.202 b=9.202 c=3.022 alpha=90.00 beta=90.00 gamma=90.00
Fractional positions:
Ti (0.175, 0.325, 0.000)
Ti (0.325, 0.825, 0.000)
Ti (0.675, 0.175, 0.000)
Ti (0.825, 0.675, 0.000)
Zn (0.000, 0.000, 0.000)
Zn (0.500, 0.500, 0.000)
B (0.127, 0.627, 0.000)
B (0.373, 0.127, 0.000)
B (0.627, 0.873, 0.000)
B (0.873, 0.373, 0.000)
Rh (0.000, 0.500, 0.500)
Rh (0.072, 0.784, 0.500)
Rh (0.216, 0.072, 0.500)
Rh (0.284, 0.572, 0.500)
Rh (0.428, 0.284, 0.500)
Rh (0.500, 0.000, 0.500)
Rh (0.572, 0.716, 0.500)
Rh (0.716, 0.428, 0.500)
Rh (0.784, 0.928, 0.500)
Rh (0.928, 0.216, 0.500)

---

3.
Structure and computed X-ray powder pattern of TlBRh3 (a DFT-relaxed cell (PBE, Alexandria); Cu Kα, 1.54184 Å).
Intensities are scaled so that the largest is 100.

Most intense lines, 10° ≤ 2θ ≤ 80°, low angle first:
2theta	I (rel.)
33.6	100
37.1	91
39.0	77
40.1	69
41.1	85
67.4	42

Structural model:
Unit cell a=2.895 b=4.724 c=5.752 alpha=82.79 beta=75.53 gamma=72.26
Fractional positions:
Tl (0.000, 0.000, 0.000)
B (0.083, 0.330, 0.500)
Rh (0.381, 0.482, 0.756)
Rh (0.610, 0.520, 0.255)
Rh (0.761, 0.961, 0.514)

---

4.
Structure and computed X-ray powder pattern of TlBRh3 (a DFT-relaxed cell (PBE, Alexandria); Cu Kα, 1.54184 Å).
Intensities are scaled so that the largest is 100.

Most intense lines, 10° ≤ 2θ ≤ 80°, low angle first:
2theta	I (rel.)
34.3	100
36.4	87
37.6	84
38.8	59
42.0	79
48.2	60

Structural model:
Unit cell a=4.965 b=5.716 c=5.335 alpha=90.00 beta=101.06 gamma=90.00
Fractional positions:
Tl (0.129, 0.250, 0.271)
Tl (0.871, 0.750, 0.729)
B (0.408, 0.750, 0.025)
B (0.592, 0.250, 0.975)
Rh (0.128, 0.750, 0.263)
Rh (0.376, 0.501, 0.733)
Rh (0.376, 0.999, 0.733)
Rh (0.624, 0.001, 0.267)
Rh (0.624, 0.499, 0.267)
Rh (0.872, 0.250, 0.737)

---

5.
Structure and computed X-ray powder pattern of TlBRh3 (a DFT-relaxed cell (PBE, Alexandria); Cu Kα, 1.54184 Å).
Intensities are scaled so that the largest is 100.

Most intense lines, 10° ≤ 2θ ≤ 80°, low angle first:
2theta	I (rel.)
24.7	47
33.3	48
37.5	100
39.1	41
42.6	83
45.4	89

Structural model:
........
Not a lot of publications discuss methods for analysis of this pathogen. However, I think it is important to know how to sample and analyse, especially after the updated HTM. For this reason, I carried out a search to find a method of analysis for this bacterium. I found a method for isolation of the bacterium in soil samples (Bollet et al 1995), but I think it can be adapted for water.
The method makes use of both resistance to imipenem and its requirement for methionine. It used 34 soil samples from France, Vietnam, China, Hong Kong, Morocco and Ivory Coast.
1 g of soil was placed in a tube containing 10 ml of nutrient broth (bioMe´rieux, Marcyl’Etoile, France) with 0.5 mg/ml of DL-methionine (Sigma Chemical Co., St. Louis, Mo).
_Unrelated to this text: calculated crystals_
<<<
Dy2Pd2Pb: computed X-ray powder pattern (CuKα), based on a DFT-relaxed cell (PBE, the Materials Project).

Cell and atoms:
```
data_Dy2Pd2Pb
_chemical_formula_sum 'Dy4 Pd4 Pb2'
_cell_length_a 7.9661
_cell_length_b 7.9661
_cell_length_c 3.5909
_cell_angle_alpha 90.00
_cell_angle_beta 90.00
_cell_angle_gamma 90.00
_space_group_name_H-M_alt 'P 4/m b m'
_space_group_IT_number 127
_space_group_name_Hall '-P 4 2ab'
loop_
_atom_site_label
_atom_site_fract_x
_atom_site_fract_y
_atom_site_fract_z
_atom_site_occupancy
Dy1 0.1708 0.3292 0.0000 1
Pd1 0.1254 0.6254 0.5000 1
Pb1 0.0000 0.0000 0.5000 1
```

Main lines, by angle (15° ≤ 2θ ≤ 90°):
h k l  2θ/deg  d [Å]  I (rel.)
2 2 0  31.77  2.816  20
2 0 1  33.60  2.667  55
2 1 1  35.50  2.529  100
3 1 0  35.64  2.519  71
3 1 2  63.64  1.462  27
5 1 1  65.11  1.433  19


DyPd2Pb: computed X-ray powder pattern (CuKα), based on a DFT-relaxed cell (PBE, the Materials Project).

Cell and atoms:
```
data_DyPd2Pb
_chemical_formula_sum 'Dy4 Pd8 Pb4'
_cell_length_a 6.8982
_cell_length_b 6.8982
_cell_length_c 6.8982
_cell_angle_alpha 90.00
_cell_angle_beta 90.00
_cell_angle_gamma 90.00
_space_group_name_H-M_alt 'F m -3 m'
_space_group_IT_number 225
_space_group_name_Hall '-F 4 2 3'
loop_
_atom_site_label
_atom_site_fract_x
_atom_site_fract_y
_atom_site_fract_z
_atom_site_occupancy
Dy1 0.0000 0.0000 0.0000 1
Pd1 0.2500 0.2500 0.2500 1
Pb1 0.0000 0.0000 0.5000 1
```

Main lines, by angle (15° ≤ 2θ ≤ 90°):
h k l  2θ/deg  d [Å]  I (rel.)
2 0 0  25.83  3.449  8
2 2 0  36.85  2.439  100
4 0 0  53.11  1.725  18
4 2 2  66.39  1.408  36
4 4 0  78.42  1.219  11
6 2 0  89.95  1.091  17


Dy14Pb3S24: computed X-ray powder pattern (CuKα), based on a DFT-relaxed cell (PBE, the Materials Project).

Cell and atoms:
```
data_Dy14Pb3S24
_chemical_formula_sum 'Dy28 Pb6 S48'
_cell_length_a 11.9607
_cell_length_b 8.3891
_cell_length_c 18.8699
_cell_angle_alpha 90.00
_cell_angle_beta 108.36
_cell_angle_gamma 90.00
_space_group_name_H-M_alt 'C 1 2 1'
_space_group_IT_number 5
_space_group_name_Hall 'C 2y'
loop_
_atom_site_label
_atom_site_fract_x
_atom_site_fract_y
_atom_site_fract_z
_atom_site_occupancy
Dy1 0.0059 0.0000 0.1294 1
Dy2 0.0415 0.2468 0.6968 1
Dy3 0.1240 0.7553 0.6214 1
Dy4 0.1683 0.4939 0.2134 1
Dy5 0.1691 0.8715 0.3375 1
Dy6 0.1788 0.4908 0.4627 1
Dy7 0.2104 0.7461 0.0395 1
Pb1 0.0000 0.3747 0.0000 1
Pb2 0.1637 0.6201 0.8314 1
S1 0.0059 0.6883 0.9169 1
S2 0.0290 0.5646 0.3035 1
S3 0.0602 0.3077 0.8636 1
S4 0.0624 0.9345 0.7442 1
S5 0.1016 0.4387 0.5851 1
S6 0.1097 0.8047 0.4622 1
S7 0.1404 0.0574 0.0325 1
S8 0.1597 0.1749 0.4174 1
S9 0.1780 0.1781 0.2546 1
S10 0.1949 0.0702 0.6340 1
S11 0.2248 0.8093 0.2067 1
S12 0.2452 0.4367 0.0889 1
```

Main lines, by angle (15° ≤ 2θ ≤ 90°):
h k l  2θ/deg  d [Å]  I (rel.)
3 1 -3  25.86  3.446  100
2 2 -1  25.95  3.433  54
3 1 3  33.53  2.672  65
1 3 -2  33.76  2.655  42
5 1 -4  39.95  2.257  34
3 3 0  40.04  2.252  27
>>>
After 24 h of incubation at 30 ºC, 0.1 ml of the broth was inoculated on a 90-mm-diameter Mueller-Hinton agar plate with a spreader.
Within 15 min after inoculation, four disks impregnated with 10 mg of imipenem (bioMe´rieux) each were applied to the surface of the inoculated plates.
After 18 h of incubation at 30 ºC, colonies that grew in the inhibition areas of the disks were re-isolated and identified by using the API 20E identification system (bioMe´rieux) according to the manufacturer’s instructions.
By using this technique, researchers were able to isolate 21 imipenem-resistant strains and all of them were S. maltophilia strains. These were compared with clinical isolates by using the Biotype 100 auxanogram system (API bioMe´rieux, La Balme-les-Grottes, France). There was no difference in vigour or pattern between the strains from hospitalized patients and the strains from soils.
To establish the sensitivity of the method, the researchers inoculated tubes containing 1 g of sterile soil with 10-fold successive dilutions of a suspension containing 4000 cfu of S.maltophilia.
To pinpoint inter strain variations, three strains isolated from different soils (strain A from France, strain B from Vietnam, and strain C from Morocco) were studied. Colonies that grew in the inhibition area were counted. The sensitivity ranged from 10 to 100 cfu/g of soil, depending on the strain.
The authors concluded that the method described in their article is simple, specific, sensitive, and inexpensive. By using successive dilutions of the soil samples, semi-quantitative results could be obtained.
How To Control S. Maltophilia
Copper and silver ionisation is effective against Legionella, P. aeruginosa, Mycobacteria, as well as S. maltophilia, and independent of water temperatures (Liu et al. 1994, Miuetzner et al. 1997, Liu et al., 1998, Stout et al. 1998, Biurrun et al. 1999, Rohr et al. 1999, Kusnetsov et al. 2001, Stout and Yu 2003, Chen et al. 2008, Lin et al, 2011, Bedford 2012).
Bedford B (2012) Legionella control in water systems using copper and silver ion generation systems. PhD thesis, Cranfield University, UK. Available from: https://dspace.lib.cranfield.ac.uk/bitstream/1826/7983/1/Birgitta_Bedford_Thesis_2012.pdf
Biurrun A., Caballero L., Pelaz C., Leon E., Gago A. (1999). Treatment of a Legionella pneumophila colonized water distribution system using copper-silver ionization and continuous chlorination. Infect. Control. Hosp. Epidemiol. 20:426-428.
Bollet C., Davin-Regli A., De Micco P. (1995) A simple method for selective isolation of Stenotrophomonas maltophilia from environmental samples. Applied and Environmental Microbiology 61(4):1653–1654. http://www.ncbi.nlm.nih.gov/pmc/articles/PMC1388425/pdf/hw1653.pdf
Brooke J.S. (2012) Stenotrophomonas maltophilia: an emerging global opportunistic pathogen. Clin Microbiol Rev 25(1):2–41. doi: 10.1128/CMR.00019-11
Chen Y.S., Lin Y.E., Liu Y.C., Huang W.K., Shih H.Y., Wann S.R., Lee S.S., Tsai H.C., Li C.H., Chao H.L., Ke C.M., Lu H.H., Chang C.L. (2008). Efficacy of point-of-entry copper-silver ionisation system in eradicating Legionella pneumophila in a tropical tertiary care hospital: implications for both hospitals contaminated with Legionella in both hot and cold water. Journal of Hospital Infection. 68:152-158.
Kusnetsov J., E. Iivanainen E., Elomaa N., Zacheus O., Martikainen P.J. (2001). Copper and silver ions more effective against Legionellae then against Mycobacteria in a hospital warm water system. Wat. Res. 35(17):4217-4225.
Lin Y., Stout J.E., Yu V.L. (2011). Controlling Legionella in Hospital Drinking Water: An Evidence-Based Review of Disinfection Methods. Infection Control and Hospital Epidemiology. 32(2):166-173.
Liu Z., Stout J.E., Tedesco L., Boldin M., Hwang C., Diven W.F., Yu V.L. (1994). Controlled evaluation of copper-silver ionisation in eradicating Legionella from a hospital water distribution system. J. Infectious Disease. 169:919-922.
Liu Z., Stout J.E., Boldin M., Rugh J., Diven W.F. Yu V.L. (1998). Intermittent use of copper-silver ionisation for Legionella control in water distribution systems: A potential option in buildings housing individuals at low risk of infection. Clinical Infectious Diseases. 26:138-140.
Miuetzner S., Schwille R.C., Farley A., Wald R.R., Ge J.H., States S.J., Libert T., Wadowsky R.M. (1997). Efficacy of thermal treatment and copper-silver ionization for controlling Legionella pneumophila in high-volume hot water plumbing systems in hospitals. The Association for Professionals in Infection Control and Epidemiology, Inc. 17(46):813-866.
Stout J. E., Yu V.L. (2003). Experiences of the first 16 hospitals using copper silver ionisation for Legionella control: Implications for the valuation of other disinfection modalities. Infection Control and Hospital Epidemiology. 24(8):563-568.
Stout J.E., Lin Y.E., Goetz A.M., Muder R.R. (1998). Controlling Legionella in hospital water systems: Experience with the superheat-and-flush method and copper silver ionization. Infection control and Hospital Epidemiology. 19(12):911-914.